Geography Archives: Americas

  • Christopher Hayes on the NAFTA Superhighway: The Nation Tilts to the Right

    In the cover story of the August 27 edition of The Nation, Christopher Hayes declares categorically, “There’s no such thing as a proposed NAFTA Superhighway,” and thereby places himself squarely in the service of the neoconservative forces that are globalizing North America. As a progressive writer, Hayes turns to surprising sources for evidence to support […]

  • Neo-Con Censorship: A Threat to All of Us

    If someone can silence whatever he or she doesn’t like, we are all going to be in big trouble soon. While everyone is on holidays, a new blow to online free speech has taken place, and I would like to share it with you and ask for help. Last Friday, my blog was shut down […]

  • The U.S.-Indian Nuclear Deal: An Unequal Colonial Treaty

      Analytical Monthly Review, published in Kharagpur, West Bengal, India, is a sister edition of Monthly Review.  Its Summer 2007 issue features the following editorial. — Ed. Prior to the Friday, August 3rd, 2007 release of the agreed text of the U.S.-Indian nuclear agreement, the media build-up in favor of civilian nuclear technology “transfer” and […]

  • Po’pay, A True American Hero

      The Pueblo Revolt, which began on 10 August 1680 under the leadership of Po’pay, was the most successful example of American Indian resistance to colonialism in North America, liberating the Pueblo people from Spanish colonizers for over a decade.  Po’pay, A True American Hero, produced by the Pueblo of Ohkay Owingeh and Skalalitude Productions […]

### The text is interrupted by crystal structures
~~~
VGeAs3 after structural relaxation, computed with PBE.

Calculated values
As for the formation enthalpy at 0 K: 0.98 eV/atom. As for the relative energy among the computed polymorphs: 617 meV/atom.

Cell lengths 4.876, 4.876, 4.876 Å; angles 90.00, 90.00, 90.00 degrees
Each line ends with the local moment (μB).
Fractional coordinates of all 5 atoms:
As1 0.000 0.000 0.500  -0.05
As2 0.000 0.500 0.000  -0.05
As3 0.500 0.000 0.000  -0.05
V1 0.500 0.500 0.500  2.83
Ge1 0.000 0.000 0.000  0.01

~~~~~

(1)
# HoHfIrRh

A relaxed HoHfIrRh crystal (PBE, Alexandria).

Output
DFT total energy, eV per atom: -8.602
Polymorph energy (0 for the lowest one), eV/atom: 0.000
Formation enthalpy at 0 K, eV per atom: -0.916

a = 3.321 Å, b = 3.321 Å, c = 6.820 Å
α = 90.00°, β = 90.00°, γ = 90.00°
Space group P4mm (No. 99)
Asymmetric unit:
1 Ho 0.000 0.000 0.000 x1
2 Hf 0.000 0.000 0.496 x1
3 Ir 0.500 0.500 0.273 x1
4 Rh 0.500 0.500 0.725 x1


(2)
# Ho2S2F

A relaxed Ho2S2F crystal (PBE, Alexandria).

Output
DFT total energy, eV per atom: -6.266
Polymorph energy (0 for the lowest one), eV/atom: 0.000
Uncorrected formation energy, eV/f.u.: -12.05

a = 12.154 Å, b = 3.603 Å, c = 10.348 Å
α = 90.00°, β = 123.30°, γ = 90.00°
Space group C2/m (No. 12)
Asymmetric unit:
1 Ho 0.014 0.000 0.356 x4
2 Ho 0.158 0.000 0.086 x4
3 S 0.025 0.500 0.161 x4
4 S 0.153 0.500 0.603 x4
5 F 0.201 0.000 0.884 x4


(3)
# SrNbNiAg

A relaxed SrNbNiAg crystal (PBE, Alexandria).

Output
DFT total energy, eV per atom: -4.787
Polymorph energy (0 for the lowest one), eV/atom: 0.160
Formation enthalpy at 0 K, eV per atom: 0.309

a = 4.2709 Å, b = 4.2709 Å, c = 18.8347 Å
α = 90.00°, β = 90.00°, γ = 120.00°
Space group R3m (No. 160, hexagonal axes)
Asymmetric unit:
1 Sr 0.0000 0.0000 0.0000 x3
2 Nb 0.0000 0.0000 0.1905 x3
3 Ni 0.0000 0.0000 0.8378 x3
4 Ag 0.0000 0.0000 0.4484 x3


(4)
# SnTePb2S5

A relaxed SnTePb2S5 crystal (PBE, Alexandria).

Output
DFT total energy, eV per atom: -4.157
Uncorrected formation energy, eV/f.u.: -2.22

a = 4.534 Å, b = 18.295 Å, c = 11.664 Å
α = 90.00°, β = 90.00°, γ = 90.00°
Space group Cmc2_1 (No. 36)
Asymmetric unit:
1 Sn 0.000 0.061 0.000 x4
2 Te 0.000 0.275 0.585 x4
3 Pb 0.000 0.375 0.239 x4
4 Pb 0.000 0.383 0.848 x4
5 S 0.000 0.019 0.328 x4
6 S 0.000 0.145 0.549 x4
7 S 0.000 0.174 0.882 x4
8 S 0.000 0.221 0.193 x4
9 S 0.000 0.452 0.597 x4


(5)
# CaY2Th

A relaxed CaY2Th crystal (PBE, Alexandria).

Output
DFT total energy, eV per atom: -5.540
Polymorph energy (0 for the lowest one), eV/atom: 0.008
Formation enthalpy at 0 K, eV per atom: 0.047

a = 3.6345 Å, b = 3.6345 Å, c = 35.8351 Å
α = 90.00°, β = 90.00°, γ = 120.00°
Space group R-3m (No. 166, hexagonal axes)
Asymmetric unit:
1 Ca 0.0000 0.0000 0.0000 x3
2 Y 0.0000 0.0000 0.2445 x6
3 Th 0.0000 0.0000 0.5000 x3


(6)
# CeY3Er

A relaxed CeY3Er crystal (PBE, Alexandria).

Output
DFT total energy, eV per atom: -5.915
Polymorph energy (0 for the lowest one), eV/atom: 0.014
~~~

  • Opening Doors to New Alliances: A Review of New Departures in Marxian Theory by Stephen A. Resnick and Richard D. Wolff

      NEW DEPARTURES IN MARXIAN THEORY by Stephen A. Resnick and Richard D. Wolff BUY THIS BOOK Being a Marxist requires considerable gumption — especially in the United States.  Those who take Marxism seriously in a hostile intellectual and political environment are only too aware of this struggle.  At worst, interest in Marxism is perceived […]

  • Alliance of Hope: Read and Hear Tariq Ali’s Pirates of the Caribbean: Axis of Hope

    PIRATES OF THE CARIBBEAN by Tariq AliBUY THIS BOOK The Pirates of the Caribbean identified by Tariq Ali in his slender volume titled the same are Evo Morales of Bolivia, Hugo Chávez of Venezuela, and of course, Fidel Castro, the “Old Man,” of Cuba. These three men and the movements they lead, according to Ali, […]

  • We Are All Prophets Now: Responsibilities and Risks in the Prophetic Voice

    Sermon delivered August 5, 2007, at St. Andrew’s Presbyterian Church. It may be the fate of humans always to believe that we live at the most important time in history, that our moment is the decisive moment.  But even factoring in this tendency toward collective self-centeredness, it is difficult to ignore that today we face […]

  • Paraguay: A Laboratory for Latin America’s New Militarism

........
[1]
Below is KTa3Nb at its PBEsol-relaxed geometry, with properties calculated at the SCAN level.

Properties
Theoretical density, g/cm3: 11.87
DOS(E_F), states/eV per cell: 4.2
DFT formation energy, meV per atom: 2916

a b c (Å): 4.554 4.554 4.554
angles (deg): 90.00 90.00 90.00
Element x y z (fractional)
1 Ta 0.000 0.000 0.500
2 Ta 0.000 0.500 0.000
3 Ta 0.500 0.000 0.000
4 Nb 0.500 0.500 0.500
5 K 0.000 0.000 0.000

[2]
Below is MgCuAu2 at its PBEsol-relaxed geometry, with properties calculated at the SCAN level.

Properties
Theoretical density, g/cm3: 12.90
DOS(E_F), states/eV per cell: 1.2
DFT formation energy, meV per atom: -414

a b c (Å): 3.904 3.904 4.919
angles (deg): 113.38 113.38 90.00
Element x y z (fractional)
1 Au 0.500 0.500 0.000
2 Au 0.750 0.250 0.500
3 Cu 0.000 0.000 0.000
4 Mg 0.250 0.750 0.500

[3]
Below is FeRuBr2 at its PBEsol-relaxed geometry, with properties calculated at the SCAN level.

Properties
ΔE_f (raw), eV per atom: 1.076
Theoretical density, g/cm3: 7.43
DOS(E_F), states/eV per cell: 2.2

a b c (Å): 4.644 4.644 4.644
angles (deg): 60.00 60.00 60.00
Each line ends with the local moment (μB).
Element x y z (fractional)
1 Br 0.000 0.000 0.000  0.17
2 Br 0.750 0.750 0.750  0.25
3 Fe 0.500 0.500 0.500  3.37
4 Ru 0.250 0.250 0.250  2.25

[4]
Below is K2LiPb at its PBEsol-relaxed geometry, with properties calculated at the SCAN level.

Properties
Theoretical density, g/cm3: 3.48
DOS(E_F), states/eV per cell: 2.1
DFT formation energy, meV per atom: -50

a b c (Å): 4.889 4.889 5.842
angles (deg): 90.00 90.00 90.00
Element x y z (fractional)
1 Pb 0.000 0.000 0.500
2 Li 0.500 0.500 0.500
3 K 0.500 0.000 0.000
4 K 0.000 0.500 0.000

[5]
Below is KSr3I at its PBEsol-relaxed geometry, with properties calculated at the SCAN level.

Properties
ΔE_f (raw), eV per atom: -0.223
Theoretical density, g/cm3: 2.58
DOS(E_F), states/eV per cell: 8.3

a b c (Å): 6.512 6.512 6.512
angles (deg): 90.00 90.00 90.00
Each line ends with the local moment (μB).
Element x y z (fractional)
1 Sr 0.500 0.000 0.000  0.06
2 Sr 0.000 0.500 0.000  0.06
3 Sr 0.000 0.000 0.500  0.06
4 I 0.000 0.000 0.000  0.00
5 K 0.500 0.500 0.500  0.01

[6]
Below is MgIn3 at its PBEsol-relaxed geometry, with properties calculated at the SCAN level.

Properties
Theoretical density, g/cm3: 6.10
DOS(E_F), states/eV per cell: 10.7
DFT formation energy, meV per atom: 5

a b c (Å): 8.657 8.657 9.279
angles (deg): 90.00 90.00 120.00
Element x y z (fractional)
1 In 0.667 0.333 0.825
2 In 0.000 0.000 0.020
3 In 0.732 0.000 0.767
4 In 0.268 0.268 0.767
5 In 0.374 0.374 0.107
6 In 0.268 0.000 0.267
7 In 0.732 0.732 0.267
8 In 0.000 0.626 0.107
9 In 0.000 0.374 0.607
10 In 0.000 0.268 0.267
11 In 0.374 0.000 0.607
12 In 0.333 0.667 0.825
13 In 0.626 0.000 0.107
14 In 0.000 0.732 0.767
15 In 0.333 0.667 0.325
16 In 0.000 0.000 0.520
17 In 0.667 0.333 0.325
18 In 0.626 0.626 0.607
19 Mg 0.663 0.000 0.442
20 Mg 0.663 0.663 0.942
21 Mg 0.000 0.663 0.442
22 Mg 0.000 0.337 0.942
........

    Two soldiers in Paraguay stand in front of a camera.  One of them holds an automatic weapon.  John Lennon’s “Imagine” plays in the background.  This Orwellian juxtaposition of war and peace is from a new video posted online by US soldiers stationed in Paraguay.  The video footage and other military activity in this heart of […]

  • Empire and Its Fixers

    Ayub Nuri, a Kurdish man from Halabja, was a fixer for the Western media in Iraq (he is now based in New York City, having received a scholarship from Columbia).1  A fixer, in the words of Nuri, is “a journalist’s interpreter, guide, source finder and occasional lifesaver.”2  Local fixers, more or less, shape what foreign […]

  • New Element Discovered: Capitalisium

      A public university sociology department has recently announced the discovery of the most toxic element yet known to social science.  This new element has been named Capitalisium (Cp).  Capitalisium is a very volatile, dynamic, and toxic element, containing 1 positron, 1 neutron, and 1 huge electron along with boards of electrons, various vice electrons, […]

  • Rutgers-Venezuela

      Rutgers Students Visit Hugo Chavez Jason Bellifemini is one of the Rutgers students who recently visited Venezuela and co-authored “Traveling Rutgers University Students Share Their Views on Developments in Venezuela” (MRZine, 4 June 2007).  Bellifemini has put together an interactive Web site, with many photo albums, to share his and other Rutgers students’ experience […]

  • The Lithographer’s Tale

    A workingman and his wife are slow-dancing in the kitchen of their tenement apartment, with a portable Victrola beating time at 78 revolutions per minute.  The man stares over his partner’s shoulder at nothing in particular, while his partner, her head inclined, closes her eyes.  Neither one is smiling.  If the coal merchant’s calendar behind […]

  • Iraq Wins Its First Asian Cup Victory, Scenes of Jubilation in Baghdad [L’Irak remporte sa première Coupe d’Asie, scènes de liesse à Bagdad]

    L’Irak a créé la surprise, dimanche 29 juillet, en battant l’Arabie Saoudite 1-0 en finale de la Coupe d’Asie de football, à Djakarta. Le capitaine de l’équipe, Younis Mahmoud, a inscrit le but de la victoire à la 71e minute pour offrir à l’Irak un succès inespéré.  C’est la première fois que l’Irak, véritable sensation […]

  • Community Protests Human Rights Violations against Transpeople in California Prisons

      Join the silent protest at the courthouse, make calls to Attorney General Jerry Brown and Federal Receiver Robert Sillen to support a transgender woman rape survivor. When: 8:00am – 9:30am Monday July 30th, 2007. Where: Civic Center Courthouse, 400 McAllister Street @ Polk St, San Francisco. Clothing: Wear RED, as Alexis has chosen the […]

  • Profit without End: Capitalism Is Just Getting Started

    Debates concerning the “Socialism of the 21st Century” are experiencing an upswing at the moment.  However, this century will initially be rather one of capitalism than socialism.  Not because there is once more an economic recovery.  Prosperity and crisis alternate constantly in capitalism, but behind this up-and-down process are tendencies towards an extension and further […]

  • Fighting with Audacity, Intelligence, and Realism

      Achievements of the Cuban Revolution are well known to Monthly Review readers.  What is striking about Raúl Castro Ruz’s address on 26 July 2007 (an excerpt from which is reproduced below), on the occasion of Cuba’s National Day of Rebellion, is not his tribute to them but his candid assessment of the “errors which […]

  • Raul Castro: Open to Dialogue with Next American President [Raul Castro se dit ouvert au dialogue avec le futur président américain]

    Le chef de l’Etat cubain par intérim, Raul Castro, s’est dit ouvert au dialogue avec le futur président des Etats-Unis, afin de pacifier les relations entre les deux pays, lors d’un discours à Camagüey, à l’occasion de la fête nationale cubaine, jeudi 26 juillet. La future administration américaine “devra décider si elle maintient la politique […]

  • Oaxaca: A Call for International Solidarity

      Oaxaca, 20 July 2007 — The struggle between the popular movement of rebellion and the government’s actions to totally crush it is at a critical point.  I believe the situation is extremely dangerous for many oaxaqueños.  Five days ago the governments (Oaxaca State and Mexican Federal — fully backed by the United States, I’m […]

  • The Prophecy of Bolívar: US Interventions in Latin America [La Profecía de Bolívar: Intervenciones de EEUU en Latinoamérica]

    “Estados Unidos parece destinado a plagar la América de miserias en nombre de la libertad”.  Con esta profética frase de Simón Bolívar en 1826, el Libertador hizo la crónica anunciada de una historia de intervenciones, militares y políticas, disfrazadas unas y en forma abierta otras, con las cuales el gigante del norte impuso su dominio […]

  • LaborFest 2007: A Moveable Feast

    LaborFest, held each July to honor the aspirations and struggles of working people, is a moveable feast that ranges across the San Francisco area and back and forth in time. Why San Francisco? San Francisco is union country and it is working people who established LaborFest and have hosted it for the past 14 years.  […]